Class Finder


@OpenApiAll public class Finder extends com.nomagic.uml2.finder.BaseFinder
This utility class should be used for searching element(s) in the model using various criteria. Search criteria are organized in several inner finders.

To retrieve Element metatype, use BaseElement.getClassType()

## Next to the piece, the page also holds materials data
+++
No. 1
10
Lattice="1.889 -1.423 -5.340 -3.169 1.425 -4.695 1.880 4.165 -3.638" Properties=species:S:1:pos:R:3 comment="PBE KNdZrSnO6, relaxed" formation_enthalpy_0k_ev_per_atom=-2.887 pbc="T T T"
O -0.501 3.849 -7.591
O -1.448 1.751 -5.758
O -0.496 1.035 -8.448
O 1.096 3.132 -5.226
O 2.048 2.415 -7.916
O 1.101 0.317 -6.083
Zr 0.300 2.083 -6.837
K 0.150 1.042 -3.418
Sn 0.000 0.000 0.000
Nd 0.450 3.125 -10.255

No. 2
108
Lattice="8.865 0.000 0.000 -4.433 7.678 0.000 0.000 0.000 23.325" Properties=species:S:1:pos:R:3 comment="PBE NaHfZrP3O12, relaxed" formation_enthalpy_0k_ev_per_atom=-3.206 pbc="T T T"
P 1.863 7.664 17.516
P 2.565 5.118 21.382
P -1.282 7.340 21.382
P -1.283 2.898 21.382
P 3.145 0.329 13.607
P -2.585 5.132 9.710
P 7.008 2.559 13.607
P 5.721 4.764 1.935
P 7.568 2.218 5.836
P 2.569 0.014 5.836
P -3.136 5.459 17.516
P 3.160 5.445 5.836
P 1.878 2.573 1.935
P 1.304 7.350 9.710
P 3.146 4.789 13.607
P 5.698 0.340 1.935
P 1.273 2.232 17.516
P 1.281 2.873 9.710
O 5.445 1.208 0.688
O 0.966 6.419 17.686
O -1.609 5.305 17.686
O 0.643 3.632 17.686
O -0.663 3.617 5.991
O 3.795 4.048 5.661
O 3.391 1.189 12.355
O -1.716 5.348 10.966
O 3.782 6.186 13.760
O 1.015 1.353 18.755
O -2.810 7.491 21.205
O -0.969 6.443 5.991
O 5.464 3.909 3.191
O 0.670 6.703 8.464
O 3.400 6.310 4.579
O -1.707 4.906 8.464
O 2.748 2.777 3.191
O 0.658 1.597 16.252
O 1.684 5.332 22.633
O 5.097 1.066 9.869
O -1.029 3.764 20.133
O 2.757 2.358 0.688
O 5.097 6.122 18.755
O -1.614 4.921 1.764
O 0.980 1.323 2.093
O 6.140 2.343 12.355
O 7.899 1.309 13.760
O 1.057 6.490 10.966
O 7.186 0.202 18.755
O -0.657 3.553 22.633
O 2.808 2.730 9.869
O 3.783 1.062 21.559
O 3.463 1.262 5.661
O -0.658 6.687 20.133
O -0.651 6.610 13.454
O 1.632 5.295 5.991
O 0.659 3.517 10.966
O 3.777 6.103 7.082
O 5.394 3.881 9.869
O 5.097 4.111 0.688
O 3.766 4.146 12.355
O 3.460 6.365 21.205
O 0.636 6.615 1.764
O -2.732 7.467 4.579
O 1.618 4.936 13.454
O -0.650 1.499 21.205
O 5.090 4.062 17.356
O 3.461 3.871 21.559
O 1.688 4.904 20.133
O -0.967 3.809 13.454
O -1.027 6.470 22.633
O 7.829 1.355 7.082
O 5.406 1.238 17.356
O 3.768 0.975 14.860
O 0.978 3.819 1.764
O 0.645 1.480 9.538
O 2.829 7.496 9.538
O 6.054 2.745 21.559
O 5.089 6.167 2.093
O 1.692 0.220 7.082
O -3.379 6.309 16.252
O 6.041 2.368 5.661
O 7.229 0.187 2.093
O -0.668 1.578 4.579
O 1.038 3.746 8.464
O 2.720 7.449 16.252
O 1.617 0.182 13.760
O 6.137 2.776 14.860
O 3.393 3.927 14.860
O -3.474 6.379 9.538
O 5.086 0.991 3.191
O 2.802 2.377 17.356
Na 0.000 0.000 23.324
Na 4.433 2.559 7.773
Na 4.433 2.559 19.441
Na 0.000 5.118 3.885
Na 0.000 5.118 15.553
Na 0.000 0.000 11.661
Hf 0.000 5.118 18.989
Hf 4.433 2.559 22.855
Hf 4.433 2.559 4.345
Hf 0.000 0.000 19.911
Hf 0.000 5.118 0.458
Hf 0.000 0.000 8.227
Zr 0.000 5.118 12.117
Zr 0.000 0.000 3.414
Zr 4.433 2.559 11.196
Zr 0.000 0.000 15.100
Zr 4.433 2.559 16.027
Zr 0.000 5.118 7.308

No. 3
14
+++

Use ClassTypes.getSubtypesArray(Class) to collect all subtypes as array of given metatype

Use methods below to get instances of these finders:
  • Constructor Details

    • Finder

      public Finder()
  • Method Details

    • byName

      public static Finder.ByNameFinder byName()
      Search for any first element by simple name among the given root element(s) and direct children of root element(s)
      finder by element name
    • byNameAll

      public static Finder.ByNameAllFinder byNameAll()
      Search for all elements by simple name among the given root element(s) and direct children of root element(s)
      finder of all elements by name
    • byNameRecursively

      public static Finder.ByNameRecursivelyFinder byNameRecursively()
      Search for any first element by simple name among the given root element(s) and all(direct and indirect) children of root element(s)
      finder by element name recursively
    • byNameAllRecursively

      public static Finder.ByNameAllRecursivelyFinder byNameAllRecursively()
      Search for all elements by simple name among the given root element(s) and all(direct and indirect) children of root element(s)
      finder of all elements recursively
    • byQualifiedName

      public static Finder.ByQualifiedNameFinder byQualifiedName()
      Search for elements by qualified name
      finder by qualified name
    • byHyperlink

      public static Finder.ByHyperlinkFinder byHyperlink()
      Search for elements by element hyperlink.
      finder by qualified name
    • byType

      public static Finder.ByTypeFinder byType()
      Search for all elements by element type in the given root element(s) and direct children of root element(s)
      finder by element meta type
    • byTypeRecursively

      public static Finder.ByTypeRecursivelyFinder byTypeRecursively()
      Search for all elements by element type in the given root element(s) and all(direct and indirect) children of root element(s)
      finder by element metatype recursively
    • byScope

      public static Finder.ByScopeFinder byScope()
      Search for all elements in the given root element(s) and all(direct and indirect) children of root element(s)
      finder by scope